Assignment
The reader should echo all of the data below character by character.

Material
+++
# 1
Compound: PCl2OF
Source: the Materials Project
Functional: PBE
Structure: relaxed

Lattice parameters (Å, degrees): 5.761 9.779 10.031 63.94 90.00 90.00
Element x y z (fractional)
O (0.529, 0.681, 0.786)
O (0.971, 0.181, 0.786)
F (0.326, 0.033, 0.108)
P (0.631, 0.549, 0.774)
Cl (0.203, 0.402, 0.416)
P (0.869, 0.049, 0.774)
F (0.174, 0.533, 0.108)
Cl (0.587, 0.619, 0.197)
P (0.369, 0.451, 0.226)
Cl (0.703, 0.098, 0.584)
P (0.131, 0.951, 0.226)
Cl (0.413, 0.381, 0.803)
O (0.029, 0.819, 0.214)
Cl (0.087, 0.881, 0.803)
Cl (0.797, 0.598, 0.584)
F (0.674, 0.967, 0.892)
F (0.826, 0.467, 0.892)
Cl (0.913, 0.119, 0.197)
Cl (0.297, 0.902, 0.416)
O (0.471, 0.319, 0.214)

Summary:
Theoretical density: 1.8 g cm⁻³
Symmetry: P2_1/c (14)
Raw total energy: -0.173 Ha/atom
Formation energy: -40.5 kcal/mol of atoms


# 2
Compound: Sr10P6ClO24F
Source: the Materials Project
Functional: PBE
Structure: relaxed

Lattice parameters (Å, degrees): 7.303 9.939 17.214 90.00 90.00 90.00
Element x y z (fractional)
Sr (0.751, 0.384, 0.375)
O (0.580, 0.590, 0.670)
O (0.424, 0.910, 0.820)
Cl (0.476, 0.000, 0.000)
O (0.751, 0.593, 0.073)
O (0.424, 0.776, 0.135)
O (0.251, 0.907, 0.425)
P (0.751, 0.669, 0.699)
Sr (0.751, 0.747, 0.504)
O (0.080, 0.410, 0.330)
O (0.080, 0.290, 0.630)
Sr (0.251, 0.253, 0.496)
O (0.749, 0.979, 0.441)
O (0.749, 0.850, 0.270)
Sr (0.499, 0.499, 0.833)
O (0.079, 0.910, 0.824)
O (0.748, 0.670, 0.790)
Sr (0.247, 0.132, 0.874)
O (0.424, 0.410, 0.328)
O (0.246, 0.824, 0.706)
Sr (0.499, 0.501, 0.167)
Sr (0.251, 0.630, 0.380)
Sr (0.747, 0.868, 0.126)
O (0.580, 0.199, 0.460)
P (0.750, 0.171, 0.203)
O (0.752, 0.093, 0.759)
O (0.248, 0.330, 0.210)
O (0.751, 0.314, 0.167)
P (0.750, 0.612, 0.983)
F (0.275, 0.499, 0.500)
P (0.250, 0.829, 0.797)
P (0.751, 0.714, 0.316)
Sr (0.747, 0.877, 0.871)
Cl (0.976, 0.000, 0.000)
O (0.924, 0.090, 0.180)
O (0.580, 0.710, 0.370)
O (0.746, 0.352, 0.765)
Sr (0.500, 0.999, 0.666)
O (0.579, 0.217, 0.867)
O (0.924, 0.714, 0.369)
O (0.424, 0.804, 0.541)
Sr (0.500, 0.001, 0.334)
O (0.746, 0.176, 0.294)
O (0.751, 0.815, 0.666)
O (0.251, 0.185, 0.334)
O (0.746, 0.473, 0.941)
Sr (0.751, 0.370, 0.620)
O (0.079, 0.307, 0.043)
Sr (0.999, 0.499, 0.833)
O (0.924, 0.590, 0.672)
P (0.751, 0.116, 0.485)
O (0.249, 0.150, 0.730)
O (0.246, 0.527, 0.059)
O (0.251, 0.407, 0.927)
O (0.079, 0.783, 0.133)
O (0.924, 0.196, 0.459)
O (0.424, 0.286, 0.631)
O (0.751, 0.592, 0.260)
O (0.246, 0.648, 0.235)
Sr (0.251, 0.616, 0.625)
P (0.251, 0.884, 0.515)
P (0.251, 0.286, 0.684)
P (0.250, 0.388, 0.017)
O (0.080, 0.801, 0.540)
F (0.775, 0.501, 0.500)
Sr (0.999, 0.501, 0.167)
Sr (0.000, 0.999, 0.666)
O (0.424, 0.313, 0.045)
O (0.924, 0.687, 0.955)
P (0.750, 0.219, 0.813)
O (0.252, 0.907, 0.241)
P (0.250, 0.781, 0.187)
Sr (0.000, 0.001, 0.334)
O (0.751, 0.093, 0.575)
O (0.579, 0.090, 0.176)
O (0.251, 0.408, 0.740)
Sr (0.247, 0.123, 0.129)
O (0.251, 0.686, 0.833)
P (0.251, 0.331, 0.301)
Sr (0.246, 0.748, 0.996)
O (0.924, 0.224, 0.865)
O (0.579, 0.693, 0.957)
Sr (0.746, 0.252, 0.004)
O (0.249, 0.021, 0.559)

Summary:
Theoretical density: 4.0 g cm⁻³
Symmetry: P2_1 (4)
Raw total energy: -0.259 Ha/atom
Formation energy: -77.6 kcal/mol of atoms
Excess energy over the best structure of this formula in the dataset: 0.000 eV per atom

=====

(1)
Li2S | meta-GGA r2SCAN | relaxed

- Total moment: 0.0 μB per formula unit
- Volume: 45.58 Å³ per cell
- Symmetry: Fm-3m, No. 225
- Theoretical density: 1.67 g cm⁻³

Lattice parameters (Å, degrees): 4.0095 4.0095 4.0095 60.00 60.00 60.00
Positions (direct):
1 Li 0.2500 0.2500 0.2500
2 Li 0.7500 0.7500 0.7500
3 S 0.0000 0.0000 0.0000

***

(2)
Li2S | meta-GGA r2SCAN | relaxed

- Total moment: 0.0 μB per formula unit
- Volume: 170.89 Å³ per cell
- Symmetry: Pnma, No. 62
- Theoretical density: 1.79 g cm⁻³

Lattice parameters (Å, degrees): 3.7911 6.2662 7.1937 90.00 90.00 90.00
Positions (direct):
1 Li 0.2500 0.8581 0.9285
2 Li 0.7500 0.1419 0.0715
3 Li 0.2500 0.3581 0.5715
4 Li 0.7500 0.6419 0.4285
+++

Completed
# 1
Compound: PCl2OF
Source: the Materials Project
Functional: PBE
Structure: relaxed

Lattice parameters (Å, degrees): 5.761 9.779 10.031 63.94 90.00 90.00
Element x y z (fractional)
O (0.529, 0.681, 0.786)
O (0.971, 0.181, 0.786)
F (0.326, 0.033, 0.108)
P (0.631, 0.549, 0.774)
Cl (0.203, 0.402, 0.416)
P (0.869, 0.049, 0.774)
F (0.174, 0.533, 0.108)
Cl (0.587, 0.619, 0.197)
P (0.369, 0.451, 0.226)
Cl (0.703, 0.098, 0.584)
P (0.131, 0.951, 0.226)
Cl (0.413, 0.381, 0.803)
O (0.029, 0.819, 0.214)
Cl (0.087, 0.881, 0.803)
Cl (0.797, 0.598, 0.584)
F (0.674, 0.967, 0.892)
F (0.826, 0.467, 0.892)
Cl (0.913, 0.119, 0.197)
Cl (0.297, 0.902, 0.416)
O (0.471, 0.319, 0.214)

Summary:
Theoretical density: 1.8 g cm⁻³
Symmetry: P2_1/c (14)
Raw total energy: -0.173 Ha/atom
Formation energy: -40.5 kcal/mol of atoms


# 2
Compound: Sr10P6ClO24F
Source: the Materials Project
Functional: PBE
Structure: relaxed

Lattice parameters (Å, degrees): 7.303 9.939 17.214 90.00 90.00 90.00
Element x y z (fractional)
Sr (0.751, 0.384, 0.375)
O (0.580, 0.590, 0.670)
O (0.424, 0.910, 0.820)
Cl (0.476, 0.000, 0.000)
O (0.751, 0.593, 0.073)
O (0.424, 0.776, 0.135)
O (0.251, 0.907, 0.425)
P (0.751, 0.669, 0.699)
Sr (0.751, 0.747, 0.504)
O (0.080, 0.410, 0.330)
O (0.080, 0.290, 0.630)
Sr (0.251, 0.253, 0.496)
O (0.749, 0.979, 0.441)
O (0.749, 0.850, 0.270)
Sr (0.499, 0.499, 0.833)
O (0.079, 0.910, 0.824)
O (0.748, 0.670, 0.790)
Sr (0.247, 0.132, 0.874)
O (0.424, 0.410, 0.328)
O (0.246, 0.824, 0.706)
Sr (0.499, 0.501, 0.167)
Sr (0.251, 0.630, 0.380)
Sr (0.747, 0.868, 0.126)
O (0.580, 0.199, 0.460)
P (0.750, 0.171, 0.203)
O (0.752, 0.093, 0.759)
O (0.248, 0.330, 0.210)
O (0.751, 0.314, 0.167)
P (0.750, 0.612, 0.983)
F (0.275, 0.499, 0.500)
P (0.250, 0.829, 0.797)
P (0.751, 0.714, 0.316)
Sr (0.747, 0.877, 0.871)
Cl (0.976, 0.000, 0.000)
O (0.924, 0.090, 0.180)
O (0.580, 0.710, 0.370)
O (0.746, 0.352, 0.765)
Sr (0.500, 0.999, 0.666)
O (0.579, 0.217, 0.867)
O (0.924, 0.714, 0.369)
O (0.424, 0.804, 0.541)
Sr (0.500, 0.001, 0.334)
O (0.746, 0.176, 0.294)
O (0.751, 0.815, 0.666)
O (0.251, 0.185, 0.334)
O (0.746, 0.473, 0.941)
Sr (0.751, 0.370, 0.620)
O (0.079, 0.307, 0.043)
Sr (0.999, 0.499, 0.833)
O (0.924, 0.590, 0.672)
P (0.751, 0.116, 0.485)
O (0.249, 0.150, 0.730)
O (0.246, 0.527, 0.059)
O (0.251, 0.407, 0.927)
O (0.079, 0.783, 0.133)
O (0.924, 0.196, 0.459)
O (0.424, 0.286, 0.631)
O (0.751, 0.592, 0.260)
O (0.246, 0.648, 0.235)
Sr (0.251, 0.616, 0.625)
P (0.251, 0.884, 0.515)
P (0.251, 0.286, 0.684)
P (0.250, 0.388, 0.017)
O (0.080, 0.801, 0.540)
F (0.775, 0.501, 0.500)
Sr (0.999, 0.501, 0.167)
Sr (0.000, 0.999, 0.666)
O (0.424, 0.313, 0.045)
O (0.924, 0.687, 0.955)
P (0.750, 0.219, 0.813)
O (0.252, 0.907, 0.241)
P (0.250, 0.781, 0.187)
Sr (0.000, 0.001, 0.334)
O (0.751, 0.093, 0.575)
O (0.579, 0.090, 0.176)
O (0.251, 0.408, 0.740)
Sr (0.247, 0.123, 0.129)
O (0.251, 0.686, 0.833)
P (0.251, 0.331, 0.301)
Sr (0.246, 0.748, 0.996)
O (0.924, 0.224, 0.865)
O (0.579, 0.693, 0.957)
Sr (0.746, 0.252, 0.004)
O (0.249, 0.021, 0.559)

Summary:
Theoretical density: 4.0 g cm⁻³
Symmetry: P2_1 (4)
Raw total energy: -0.259 Ha/atom
Formation energy: -77.6 kcal/mol of atoms
Excess energy over the best structure of this formula in the dataset: 0.000 eV per atom

=====

(1)
Li2S | meta-GGA r2SCAN | relaxed

- Total moment: 0.0 μB per formula unit
- Volume: 45.58 Å³ per cell
- Symmetry: Fm-3m, No. 225
- Theoretical density: 1.67 g cm⁻³

Lattice parameters (Å, degrees): 4.0095 4.0095 4.0095 60.00 60.00 60.00
Positions (direct):
1 Li 0.2500 0.2500 0.2500
2 Li 0.7500 0.7500 0.7500
3 S 0.0000 0.0000 0.0000

***

(2)
Li2S | meta-GGA r2SCAN | relaxed

- Total moment: 0.0 μB per formula unit
- Volume: 170.89 Å³ per cell
- Symmetry: Pnma, No. 62
- Theoretical density: 1.79 g cm⁻³

Lattice parameters (Å, degrees): 3.7911 6.2662 7.1937 90.00 90.00 90.00
Positions (direct):
1 Li 0.2500 0.8581 0.9285
2 Li 0.7500 0.1419 0.0715
3 Li 0.2500 0.3581 0.5715
4 Li 0.7500 0.6419 0.4285